'''
No. 1
For Cs11Hg2Cl, a DFT-relaxed cell (PBE, Alexandria) gives the simulated powder XRD pattern in this record (λ = 1.5418 Å (Cu Kα)).
Intensities are scaled so that the largest is 100.

Top 10 peaks for 2θ from 10° to 80°, by angle:
2θ/deg, d (Å), intensity
11.8, 7.519, 49
12.1, 7.306, 59
18.8, 4.709, 74
19.3, 4.592, 47
23.1, 3.848, 100
23.6, 3.777, 43
25.1, 3.541, 50
26.6, 3.350, 33
30.0, 2.978, 33
38.2, 2.355, 59

Crystal structure
Cell: 15.4885 15.4885 15.4885 Å, 125.46 105.19 99.08°
Positions (direct):
Cs  0.0000  0.0000  0.0000
Cs  0.0791  0.2123  0.6242
Cs  0.0881  0.7123  0.1332
Cs  0.1009  0.4590  0.3001
Cs  0.1589  0.8008  0.6999
Cs  0.2292  0.1153  0.3445
Cs  0.2708  0.6153  0.8861
Cs  0.3411  0.0410  0.6419
Cs  0.3991  0.6992  0.3581
Cs  0.4119  0.5451  0.6242
Cs  0.4209  0.0451  0.1332
Cs  0.5000  0.5000  0.0000
Cs  0.5791  0.9549  0.8668
Cs  0.5881  0.4549  0.3758
Cs  0.6009  0.3008  0.6419
Cs  0.6589  0.9590  0.3581
Cs  0.7292  0.3847  0.1139
Cs  0.7708  0.8847  0.6555
Cs  0.8411  0.1992  0.3001
Cs  0.8991  0.5410  0.6999
Cs  0.9119  0.2877  0.8668
Cs  0.9209  0.7877  0.3758
Hg  0.1565  0.8334  0.9899
Hg  0.3435  0.3334  0.6768
Hg  0.6565  0.6666  0.3232
Hg  0.8435  0.1666  0.0101
Cl  0.2500  0.7500  0.5000
Cl  0.7500  0.2500  0.5000

No. 2
For CsHgCl3, a DFT-relaxed cell (PBE, Alexandria) gives the simulated powder XRD pattern in this record (λ = 1.5418 Å (Cu Kα)).
Intensities are scaled so that the largest is 100.

Top 10 peaks for 2θ from 10° to 80°, by angle:
2θ/deg, d (Å), intensity
15.9, 5.590, 14
22.5, 3.953, 100
32.0, 2.795, 41
39.5, 2.282, 48
45.9, 1.976, 26
51.7, 1.768, 24
57.1, 1.614, 8
62.1, 1.494, 27
71.6, 1.318, 13
76.2, 1.250, 9

Crystal structure
Cell: 13.6859 13.6859 9.6911 Å, 90.00 90.00 120.00°
Positions (direct):
Cs  0.0974  0.5438  0.0000
Cs  0.1096  0.8802  0.6713
Cs  0.1198  0.2294  0.3379
Cs  0.4464  0.9026  0.3333
Cs  0.4491  0.2177  0.0143
Cs  0.4562  0.5536  0.6667
Cs  0.7685  0.5509  0.3476
Cs  0.7706  0.8904  0.0046
Cs  0.7823  0.2315  0.6809
Hg  0.1112  0.2262  0.8327
Hg  0.1130  0.5518  0.5144
Hg  0.1150  0.8888  0.1660
Hg  0.4394  0.2216  0.4959
Hg  0.4389  0.8870  0.8477
Hg  0.4482  0.5611  0.1810
Hg  0.7738  0.8850  0.4994
Hg  0.7784  0.2178  0.1626
Hg  0.7822  0.5606  0.8293
Cl  0.0791  0.7409  0.3279
Cl  0.0854  0.0095  0.0114
Cl  0.1528  0.4000  0.6520
Cl  0.2472  0.8472  0.9853
Cl  0.2591  0.3382  0.9946
Cl  0.2732  0.7200  0.6043
Cl  0.2800  0.5533  0.2710
Cl  0.2877  0.0618  0.3173
Cl  0.3103  0.2023  0.6779
Cl  0.4467  0.7268  0.9377
Cl  0.4512  0.4049  0.3646
Cl  0.4523  0.0267  0.6851
Cl  0.5744  0.5477  0.0184
Cl  0.5951  0.0463  0.0313
Cl  0.6000  0.7528  0.3186
Cl  0.6055  0.2326  0.3912
Cl  0.6271  0.3945  0.7245
Cl  0.6618  0.9209  0.6612
Cl  0.7674  0.3729  0.0579
Cl  0.7741  0.7123  0.6507
Cl  0.7977  0.1080  0.3446
Cl  0.8920  0.6897  0.0113
Cl  0.9241  0.9146  0.3447
Cl  0.9382  0.2259  0.9840
Cl  0.9537  0.5488  0.6980
Cl  0.9733  0.4256  0.3517
Cl  0.9905  0.0759  0.6780

No. 3
For CsHgCl3, a DFT-relaxed cell (PBE, Alexandria) gives the simulated powder XRD pattern in this record (λ = 1.5418 Å (Cu Kα)).
Intensities are scaled so that the largest is 100.

Top 10 peaks for 2θ from 10° to 80°, by angle:
2θ/deg, d (Å), intensity
22.8, 3.899, 50
23.0, 3.874, 100
32.5, 2.757, 46
32.9, 2.722, 22
40.1, 2.246, 48
40.4, 2.232, 22
46.6, 1.950, 16
46.9, 1.937, 31
52.5, 1.743, 23
58.2, 1.585, 16

Crystal structure
Cell: 7.7493 7.7493 7.7493 Å, 119.58 119.58 90.73°
Positions (direct):
Cs  0.2500  0.7500  0.5000
Cs  0.7500  0.2500  0.5000
Hg  0.0000  0.0000  0.0000
Hg  0.5000  0.5000  0.0000
Cl  0.2227  0.2227  0.0000
Cl  0.2645  0.2645  0.5290
Cl  0.2645  0.7355  0.0000
Cl  0.7355  0.2645  0.0000
Cl  0.7355  0.7355  0.4710
Cl  0.7773  0.7773  0.0000

No. 4
For Cs2Hg2Cl5, a DFT-relaxed cell (PBE, Alexandria) gives the simulated powder XRD pattern in this record (λ = 1.5418 Å (Cu Kα)).
Intensities are scaled so that the largest is 100.
'''
Please transcribe the whole of the rows earlier on with every line break kept.
No. 1
For Cs11Hg2Cl, a DFT-relaxed cell (PBE, Alexandria) gives the simulated powder XRD pattern in this record (λ = 1.5418 Å (Cu Kα)).
Intensities are scaled so that the largest is 100.

Top 10 peaks for 2θ from 10° to 80°, by angle:
2θ/deg, d (Å), intensity
11.8, 7.519, 49
12.1, 7.306, 59
18.8, 4.709, 74
19.3, 4.592, 47
23.1, 3.848, 100
23.6, 3.777, 43
25.1, 3.541, 50
26.6, 3.350, 33
30.0, 2.978, 33
38.2, 2.355, 59

Crystal structure
Cell: 15.4885 15.4885 15.4885 Å, 125.46 105.19 99.08°
Positions (direct):
Cs  0.0000  0.0000  0.0000
Cs  0.0791  0.2123  0.6242
Cs  0.0881  0.7123  0.1332
Cs  0.1009  0.4590  0.3001
Cs  0.1589  0.8008  0.6999
Cs  0.2292  0.1153  0.3445
Cs  0.2708  0.6153  0.8861
Cs  0.3411  0.0410  0.6419
Cs  0.3991  0.6992  0.3581
Cs  0.4119  0.5451  0.6242
Cs  0.4209  0.0451  0.1332
Cs  0.5000  0.5000  0.0000
Cs  0.5791  0.9549  0.8668
Cs  0.5881  0.4549  0.3758
Cs  0.6009  0.3008  0.6419
Cs  0.6589  0.9590  0.3581
Cs  0.7292  0.3847  0.1139
Cs  0.7708  0.8847  0.6555
Cs  0.8411  0.1992  0.3001
Cs  0.8991  0.5410  0.6999
Cs  0.9119  0.2877  0.8668
Cs  0.9209  0.7877  0.3758
Hg  0.1565  0.8334  0.9899
Hg  0.3435  0.3334  0.6768
Hg  0.6565  0.6666  0.3232
Hg  0.8435  0.1666  0.0101
Cl  0.2500  0.7500  0.5000
Cl  0.7500  0.2500  0.5000

No. 2
For CsHgCl3, a DFT-relaxed cell (PBE, Alexandria) gives the simulated powder XRD pattern in this record (λ = 1.5418 Å (Cu Kα)).
Intensities are scaled so that the largest is 100.

Top 10 peaks for 2θ from 10° to 80°, by angle:
2θ/deg, d (Å), intensity
15.9, 5.590, 14
22.5, 3.953, 100
32.0, 2.795, 41
39.5, 2.282, 48
45.9, 1.976, 26
51.7, 1.768, 24
57.1, 1.614, 8
62.1, 1.494, 27
71.6, 1.318, 13
76.2, 1.250, 9

Crystal structure
Cell: 13.6859 13.6859 9.6911 Å, 90.00 90.00 120.00°
Positions (direct):
Cs  0.0974  0.5438  0.0000
Cs  0.1096  0.8802  0.6713
Cs  0.1198  0.2294  0.3379
Cs  0.4464  0.9026  0.3333
Cs  0.4491  0.2177  0.0143
Cs  0.4562  0.5536  0.6667
Cs  0.7685  0.5509  0.3476
Cs  0.7706  0.8904  0.0046
Cs  0.7823  0.2315  0.6809
Hg  0.1112  0.2262  0.8327
Hg  0.1130  0.5518  0.5144
Hg  0.1150  0.8888  0.1660
Hg  0.4394  0.2216  0.4959
Hg  0.4389  0.8870  0.8477
Hg  0.4482  0.5611  0.1810
Hg  0.7738  0.8850  0.4994
Hg  0.7784  0.2178  0.1626
Hg  0.7822  0.5606  0.8293
Cl  0.0791  0.7409  0.3279
Cl  0.0854  0.0095  0.0114
Cl  0.1528  0.4000  0.6520
Cl  0.2472  0.8472  0.9853
Cl  0.2591  0.3382  0.9946
Cl  0.2732  0.7200  0.6043
Cl  0.2800  0.5533  0.2710
Cl  0.2877  0.0618  0.3173
Cl  0.3103  0.2023  0.6779
Cl  0.4467  0.7268  0.9377
Cl  0.4512  0.4049  0.3646
Cl  0.4523  0.0267  0.6851
Cl  0.5744  0.5477  0.0184
Cl  0.5951  0.0463  0.0313
Cl  0.6000  0.7528  0.3186
Cl  0.6055  0.2326  0.3912
Cl  0.6271  0.3945  0.7245
Cl  0.6618  0.9209  0.6612
Cl  0.7674  0.3729  0.0579
Cl  0.7741  0.7123  0.6507
Cl  0.7977  0.1080  0.3446
Cl  0.8920  0.6897  0.0113
Cl  0.9241  0.9146  0.3447
Cl  0.9382  0.2259  0.9840
Cl  0.9537  0.5488  0.6980
Cl  0.9733  0.4256  0.3517
Cl  0.9905  0.0759  0.6780

No. 3
For CsHgCl3, a DFT-relaxed cell (PBE, Alexandria) gives the simulated powder XRD pattern in this record (λ = 1.5418 Å (Cu Kα)).
Intensities are scaled so that the largest is 100.

Top 10 peaks for 2θ from 10° to 80°, by angle:
2θ/deg, d (Å), intensity
22.8, 3.899, 50
23.0, 3.874, 100
32.5, 2.757, 46
32.9, 2.722, 22
40.1, 2.246, 48
40.4, 2.232, 22
46.6, 1.950, 16
46.9, 1.937, 31
52.5, 1.743, 23
58.2, 1.585, 16

Crystal structure
Cell: 7.7493 7.7493 7.7493 Å, 119.58 119.58 90.73°
Positions (direct):
Cs  0.2500  0.7500  0.5000
Cs  0.7500  0.2500  0.5000
Hg  0.0000  0.0000  0.0000
Hg  0.5000  0.5000  0.0000
Cl  0.2227  0.2227  0.0000
Cl  0.2645  0.2645  0.5290
Cl  0.2645  0.7355  0.0000
Cl  0.7355  0.2645  0.0000
Cl  0.7355  0.7355  0.4710
Cl  0.7773  0.7773  0.0000

No. 4
For Cs2Hg2Cl5, a DFT-relaxed cell (PBE, Alexandria) gives the simulated powder XRD pattern in this record (λ = 1.5418 Å (Cu Kα)).
Intensities are scaled so that the largest is 100.